File.
An optimized crystal structure of Th3Co4Sn13. Source: the Materials Project, functional PBE-GGA.

Values from the calculation:
V   22.43 Å³ per atom
Space-group type   Pm-3n, No. 223
Energy relative to the elements   -0.311 eV per atom
VASP energy   -5.4512 eV per atom

a = 9.644 Å, b = 9.644 Å, c = 9.644 Å
α = 90.00°, β = 90.00°, γ = 90.00°
Positions (direct):
Th 0.000 0.250 0.500
Th 0.000 0.750 0.500
Th 0.250 0.500 0.000
Th 0.500 0.000 0.250
Th 0.500 0.000 0.750
Th 0.750 0.500 0.000
Co 0.250 0.250 0.250
Co 0.250 0.250 0.750
Co 0.250 0.750 0.250
Co 0.250 0.750 0.750
Co 0.750 0.250 0.250
Co 0.750 0.250 0.750
Co 0.750 0.750 0.250
Co 0.750 0.750 0.750
Sn 0.000 0.000 0.000
Sn 0.000 0.304 0.156
Sn 0.000 0.304 0.844
Sn 0.000 0.696 0.156
Sn 0.000 0.696 0.844
Sn 0.156 0.000 0.304
Sn 0.156 0.000 0.696
Sn 0.196 0.500 0.344
Sn 0.196 0.500 0.656
Sn 0.304 0.156 0.000
Sn 0.304 0.844 0.000
Sn 0.344 0.196 0.500
Sn 0.344 0.804 0.500
Sn 0.500 0.344 0.196
Sn 0.500 0.344 0.804
Sn 0.500 0.500 0.500
Sn 0.500 0.656 0.196
Sn 0.500 0.656 0.804
Sn 0.656 0.196 0.500
Sn 0.656 0.804 0.500
Sn 0.696 0.156 0.000
Sn 0.696 0.844 0.000
Sn 0.804 0.500 0.344
Sn 0.804 0.500 0.656
Sn 0.844 0.000 0.304
Sn 0.844 0.000 0.696

---

An optimized crystal structure of Ti5CoSn3. Source: the Materials Project, functional PBE-GGA.

Values from the calculation:
V   17.74 Å³ per atom
Space-group type   P6_3/mcm, No. 193
Energy relative to the elements   -0.374 eV per atom
VASP energy   -6.8870 eV per atom

a = 8.236 Å, b = 8.236 Å, c = 5.437 Å
α = 90.00°, β = 90.00°, γ = 120.00°
Positions (direct):
Ti 0.000 0.247 0.250
Ti 0.000 0.753 0.750
Ti 0.247 0.000 0.250
Ti 0.247 0.247 0.750
Ti 0.333 0.667 0.000
Ti 0.333 0.667 0.500
Ti 0.667 0.333 0.000
Ti 0.667 0.333 0.500
Ti 0.753 0.000 0.750
Ti 0.753 0.753 0.250
Co 0.000 0.000 0.000
Co 0.000 0.000 0.500
Sn 0.000 0.395 0.750
Sn 0.000 0.605 0.250
Sn 0.395 0.000 0.750
Sn 0.395 0.395 0.250
Sn 0.605 0.000 0.250
Sn 0.605 0.605 0.750

---

An optimized crystal structure of TiCoSn. Source: the Materials Project, functional PBE-GGA.

Values from the calculation:
V   17.56 Å³ per atom
Space-group type   F-43m, No. 216
Energy relative to the elements   -0.324 eV per atom
VASP energy   -6.6623 eV per atom

a = 4.208 Å, b = 4.208 Å, c = 4.208 Å
α = 60.00°, β = 60.00°, γ = 60.00°
Positions (direct):
Ti 0.000 0.000 0.000
Co 0.750 0.750 0.750
Sn 0.500 0.500 0.500


Nd3HfSb5 PBE optimized geometry; space group = No. 193; MP2020-corrected energy = -108.43 eV for the cell shown; crystal system = hexagonal; total energy = -53.3 eV per formula unit; E_form = -1.034 eV per atom
1.0
4.751 -8.229 0.000
4.751 8.229 0.000
0.000 0.000 6.354
Nd Hf Sb
6 2 10
Direct
0.618 0.000 0.250
0.382 0.000 0.750
0.000 0.618 0.250
0.000 0.382 0.750
0.382 0.382 0.250
0.618 0.618 0.750
0.000 0.000 0.000
0.000 0.000 0.500
0.262 0.000 0.250
0.738 0.000 0.750
0.000 0.262 0.250
0.000 0.738 0.750
0.738 0.738 0.250
0.262 0.262 0.750
0.333 0.667 0.000
0.667 0.333 0.000
0.667 0.333 0.500
0.333 0.667 0.500


<i>
## Li3FeF6 (r2SCAN)

Data for a relaxed Li3FeF6 crystal. Values from VASP.

Geometry as Quantum ESPRESSO input:
```
&SYSTEM
  ibrav = 0, nat = 40, ntyp = 3
/
ATOMIC_SPECIES
Li 6.94 Li.upf
Fe 55.84 Fe.upf
F 19.00 F.upf
CELL_PARAMETERS angstrom
4.971 0.000 0.000
0.000 8.380 0.000
0.000 0.000 9.496
ATOMIC_POSITIONS angstrom
Li 2.469 3.761 1.001
Li 0.036 7.215 1.179
Li 2.487 0.417 1.385
Li 0.001 4.607 3.363
Li 2.522 3.025 3.569
Li 4.955 7.951 3.747
Li 2.469 0.429 5.749
Li 0.036 5.355 5.928
Li 2.487 3.773 6.133
Li 0.001 7.963 8.111
Li 2.522 1.165 8.317
Li 4.955 4.619 8.495
Fe 4.967 2.024 1.226
Fe 2.482 6.214 3.522
Fe 4.967 2.166 5.974
Fe 2.482 6.356 8.270
F 4.089 0.677 0.082
F 1.646 2.053 0.220
F 4.180 3.427 0.200
F 0.733 0.481 2.184
F 3.371 1.940 2.297
F 0.914 3.267 2.400
F 3.399 7.457 2.348
F 0.886 6.130 2.451
F 3.219 4.671 2.565
F 1.695 7.617 4.549
F 4.131 6.243 4.528
F 1.603 4.867 4.666
F 4.089 3.513 4.830
F 1.646 2.137 4.968
F 4.180 0.763 4.948
F 0.733 3.709 6.932

What to do.
Say how many lines of the lines above hold the word "the", as a bare number.

Done.
10